Monday, January 28, 2013

Hiking, and Relaxing

Saturday and Sunday of this weekend were very pleasant.  Saturday, after waking up at 1pm, we decided to go for a hike. It was beautiful out! The temp. was about 60 degrees and we had a lot of rain the previous week so we all wanted to get outside.  We climbed to the top of this "mountain" across the river and actually across from our view at the fund.  It was lovely up there and a great view.  A Spanish family with their 3 kids had also climbed up and was asking about our stay.  I swear the kids in Spain are so much cuter than the kids in the United States.... I don't know why.  We decided to walk around the entire city of Toledo, and then cross over the bridge on the other side of the city.  It was a great 5 mile walk (I mapped it out).

Later that night, the girls went out for dinner.  We went to this little cafe/restaurant, and the waitress didn't hesistate to show that she knew we were American and didn't like us.  We were handed an English menu before we said a word and still ordered our meals in Spanish.... Regardless, we all had a blast together and were happy that tipping is not custom in Europe or Spain, specifically.  I also spotted my first red mini cooper!!! I have seen many minis around Toledo, except none had been red. So I was very excited to see one that reminded me of my own car, but European style.

The cathedral at night.

Yesterday we had a pretty low key day also.  The weather was rainy for the middle of the day.  I went to a cafe to do my "homework" with a friend.  It was fun and a good way to get out of the fund.  Afterwards we relaxed, ate dinner, and booked our trip to Portugal for this weekend.  I am excited to go on my first trip even though its an overnight bus ride... I learned the hard way that the laundry room closes at 8 regardless if you are in the middle of a load.. So when my clothes finished in the wash, the receptionist wouldn't let me dry them... Instead I had to hang them all over my room for them to dry.. I was not amused. After dinner, many of us gathered in the tv room and finished the night off by watching Pitch Perfect.

The weather today is beautiful again, even though I probably won't make it out of the fund today between all my classes.  And when I leave the fund, that means I spend money, which I don't want to do either.  Tomorrow I hope to go to the mall to purchase some warmer clothes for London and Switzerland in the next couple of weeks. :)

Friday, January 25, 2013


Today we had an excursion to Madrid! We had an early morning that started at 8:15.... We took the hour bus ride to Madrid and then had a bus tour through the main parts of Madrid.  It is SO BIG! It makes me happy that I am studying abroad in a smaller city like Toledo.  I am more comfortable here, feel safer here, and will be more accustomed to the city.  Someone made a good point today.  It's like studying in Minneapolis compared to New York City.

After our bus tour, we went to the Palace de Madrid Real.  It was where most of the monarchy lived until the 19th century, I believe.  It was absolutely beautiful! It is amazing to think that people actually lived in that place.  There was gold in every room and all of the ceilings were "Michaelangeloed".  I wasn't allowed to take pictures inside of the palace unfortunately, but it was a lot of fun.

Afterwards, we went to a restaurant called Museo de Jamón.  We had a huge delicious lunch which included gluten free dessert!  I have never been so full.  Afterwards we had some free time to walk around and do some shopping.  And I saw that both the Sound of Music and The Lion King are on broadway here! So that may be a future plan of mine.

Unfortunately, my purse that my sister's got me for Christmas broke today... It is still useable, but the part of the cross-body strap that is connected to the purse ripped half way.. I am so sad since I have only had that purse for a month! But I am going to try to super glue it.   It must not have been able to withstand the amount of weight I was putting in it from water, to cameras, to sunglasses, etc.

Sooo that meant when I went shopping, I was going to look for a new purse! As many of you might know, I have an obsession with purses.  I knew coming into this trip that I wanted to buy a nice purse from Europe.  But I did not expect to find one the same day my purse broke or my second week here.  I didn't want to impulse buy it, so we walked around, went for coffee, and thought about it with my friends.  After discussing, I realized that it was 50% off (which is a great deal), and there was only one left, and I don't know the next time I will be in Madrid.  It could be as late as March.  So I bought it! I am so happy with it!

Today has been a good and exhausting day.  Tomorrow I am sleeping in, and probably going to walk around "old Toledo".

Wednesday, January 23, 2013


My blogging will be pretty slow throughout the week because there is not much that happens when we have class.  I will for sure update my weekends since I will either be traveling, or doing something else fun.  Now that school has started, we don't have as much free time and planning for activities during the week.

Tonight is our second night of flamenco lessons.  They are a lot of fun and actually very difficult! I'm sure if there weren't 50 students trying to learn, it would be easier.  We had it on Monday as well and I enjoyed it very much.  Last night we had intercambio dinner.  An intercambio is when they match you up with a local Spaniard  and you go to lunch with them or for coffee, and you speak in Spanish for one hour and the next hour they practice their English.  It was strangely organized though because we were just thrown into a room of Spaniards and you had to go find someone to talk to.  I ended up talking to this woman named Ruth. She was very, very nice but did not have very good conversation skills so it was hard to hold a conversation.  And here I am the exchange student who doesn't know what to ask her about.  But it went fine.

I really like my classes and professors.  I think the classes I am taking will really help improve my speaking skills, so I am excited.  The food has been getting better. I don't know if I'm just that hungry that I will eat it anyways or if I am actually adapting to it.

Last night, I booked my trip to London.  I was never planning on going since I was there in 8th grade. But our other plans fell through for a couple of trips so I could spend my money on this.  We are staying with 2 DGs from the U so we won't have to pay for lodging which will be nice. And we can eat pretty cheap.  I am excited though! I loved London the first time, and it will be cool to meet up with friends from the U.

Monday, January 21, 2013

Lunes, Lunes

Today is another first day of classes. Except this is my first full week.  Today was also the first day that I ate a huge meal. The food was pretty good today with great potatoes.  I am very satisfied.

Yesterday shopping was a bust. We got all the way to the mall to find that is was closed.... Apparently, they don't open on Sundays but the food court does. And every first Sunday of the month the stores are open.. Weird. We were not too happy because this little detail is not written on the website and it is quite the trek to the mall. But I ate some Mcdonald's which was a nice taste of home! The french fries were different here because they use olive oil instead of the fat that we use in the US.

Today before class, I went to the bank and went shopping. I bought my first two souvenirs! I bought a warm scarf because it's a lot colder here than I expected and my fashion scarves aren't warm enough. Then I bought an España scarf.  They are the decorative ones that you can hang on your wall or wear.  Most people wear them to soccer games and such.  It was really cheap and I wanted to come home with one!

Please be sure to scan old posts when you read updated ones for pictures. I don't download pictures everyday, but I will be adding them into the posts they pertain to when I download them. :)

Sunday, January 20, 2013

La Nuit

Yesterday was one of the laziest days I've had in probably my life. We were up until 3:30am planning trips so I slept until about 1pm... Which I have never done before! So I laid in bed all day and watched tv shows that were very hard to load... I miss netflix and hulu! Because I'm outside of the US I can't use those sites.

I finally got out of bed later in the day to book my trip to Switzerland! I am so excited! It will be so much fun! We are going to Interlaken.  The flight was amazing cheap compared to what it is in the United States.  And this trip will be one of my more expensive ones.  I am also planning a trip to Portugal in the beginning of February and hopefully one to the Spanish islands.

Last night was the funnest night I have had since I've been in Toledo.  We went out to the bars and clubs.  One bar reopened after being remodeled and it was a favorite of students from last semester. And really cheap! It was fun.  Then we went to the club La Nuit.  That was also a blast!

There was a TON of dancing, which was very enjoyable. One of the employees there thought it would be fun to give us a photo shoot.  He took us to the part of the bar that was blocked for the night and took pictures of us behind the bar, on the bar, next to a lion statue, in the VIP section, next to the dj; it was a blast and hilarious! Don't worry, he wasn't being creepy about it.  He knows one of the girl from last semester well and was being nice.  So after we stayed out until 4am....omg--I finally went home and went to bed.

Today we are going to the mall to shop and look around.  I need a blanket and some more clothes....I didn't bring enough warm clothes. Oh well!

Saturday, January 19, 2013

Planning is stressful....

Well I had a great time with Molly and Shannon! We went to la iglesia de los Jesuitas and they have a tower that you can climb to see above the city. It was a blast. We walked around, shopped, ate lunch, and went down by the river for a bit. We found this great little souvenir place that has so much stuff handmade for a great price.  After that we found an antique shop for you, Dad! We can't forget about our crazy photo shoot either! After that and some down time, Molly and Shan headed back to Madrid so Shan could catch her flight today.  I missed the other Caraway this weekend (Cait)!

Last night we all decided to stay in and watch a movie.  While doing that, we went trip planning crazy! It is soooo stressful to coordinate everything, have enough time to do everything, and find someone to go with you to all the places you want to go.  I have narrowed my list down to the places I want to go and this is where I am currently at.

I am going to Paris in April, Switzerland in February, the Canary Islands in February (they are islands off the coast of Spain that are owned by Spain). I will make it to Barcelona, Granada, Seville, and Valencia at some point (all cities in Spain).  And then for spring break, I am going to Auschwitz!!! For those of you that don't know, I have an extreme obsession with the Holocaust and learning about it.  I know that this is a very depressing place to be excited about going to but it has been my dream for many years.  I think the history that was there is incredible.  After Poland, I would meet up with others in Prague, and then Amsterdam to finish off spring break.  Molly might come with me to Auschwitz! We are going to skype today to figure it all out.

I want to start traveling ASAP because Toledo is pretty quiet and boring during the weekends unfortunately... But it's good to be around the city this weekend.

Thursday, January 17, 2013

Misplaced crystal structures.
____________
No. 1
Computed powder diffractogram
Compound: Pr4GeP2Br
Radiation: Cu Kα (λ = 1.5418 Å)
Structure: a GGA-PBE-relaxed structure

Structural model:
```
Pr4GeP2Br
1.0
7.386 0.000 0.000
0.000 4.232 0.000
-2.389 0.000 7.030
Pr Ge P Br
4 1 2 1
Direct
0.230 0.000 0.226
0.247 0.500 0.763
0.753 0.500 0.237
0.770 0.000 0.774
0.000 0.000 0.500
0.000 0.500 0.000
0.500 0.000 0.000
0.500 0.500 0.500
```

Largest 10 diffraction maxima, most intense first, 2θ = 5–70°:
| d [Å] | Rel. int. |
| --- | --- |
| 3.020 | 100 |
| 3.010 | 50 |
| 2.128 | 37 |
| 2.136 | 36 |
| 3.462 | 28 |
| 1.731 | 20 |
| 2.116 | 19 |
| 2.156 | 18 |
| 1.348 | 15 |
| 3.497 | 14 |

***

No. 2
Computed powder diffractogram
Compound: Rb2GePBr6
Radiation: Cu Kα (λ = 1.5418 Å)
Structure: a GGA-PBE-relaxed structure

Structural model:
```
Rb2GePBr6
1.0
-3.847 3.847 5.455
3.847 -3.847 5.455
3.847 3.847 -5.455
Rb Ge P Br
2 1 1 6
Direct
0.250 0.750 0.500
0.750 0.250 0.500
0.000 0.000 0.000
0.500 0.500 0.000
0.255 0.255 0.000
0.255 0.255 0.510
0.255 0.745 0.000
0.745 0.255 0.000
0.745 0.745 0.000
0.745 0.745 0.490
```

Largest 10 diffraction maxima, most intense first, 2θ = 5–70°:
| d [Å] | Rel. int. |
| --- | --- |
| 3.144 | 100 |
| 2.723 | 96 |
| 1.925 | 68 |
| 1.641 | 28 |
| 1.572 | 23 |
| 1.644 | 14 |
| 3.851 | 11 |
| 5.446 | 10 |
| 1.360 | 7 |
| 2.223 | 5 |

***

No. 3
Computed powder diffractogram
Compound: PaGeBr6
Radiation: Cu Kα (λ = 1.5418 Å)
Structure: a GGA-PBE-relaxed structure

Structural model:
```
PaGeBr6
1.0
7.019 0.000 0.000
0.000 13.170 0.000
-2.076 0.000 6.706
Pa Ge Br
2 2 12
Direct
0.000 0.000 0.000
0.500 0.500 0.000
0.000 0.500 0.500
0.500 0.000 0.500
0.247 0.000 0.753
0.249 0.355 0.749
0.249 0.645 0.749
0.251 0.145 0.251
0.251 0.855 0.251
0.253 0.500 0.247
0.747 0.500 0.753
0.749 0.145 0.749
0.749 0.855 0.749
0.751 0.355 0.251
0.751 0.645 0.251
0.753 0.000 0.247
```

Largest 10 diffraction maxima, most intense first, 2θ = 5–70°:
| d [Å] | Rel. int. |
| --- | --- |
| 3.022 | 100 |
| 6.585 | 80 |
| 5.192 | 72 |
| 2.064 | 67 |
| 2.825 | 45 |
| 2.349 | 31 |
| 3.971 | 23 |
| 2.226 | 20 |
| 5.975 | 19 |
| 1.676 | 19 |

***

No. 4
Computed powder diffractogram
Compound: Ge5PbBr12
Radiation: Cu Kα (λ = 1.5418 Å)
Structure: a GGA-PBE-relaxed structure

Structural model:
```
Ge5PbBr12
1.0
3.572 -6.202 0.000
3.572 6.202 0.000
-0.012 0.000 14.120
Ge Pb Br
5 1 12
Direct
0.000 0.000 0.000
0.167 0.833 0.500
0.333 0.667 0.000
0.667 0.333 0.000
0.833 0.167 0.500
0.500 0.500 0.500
0.000 0.333 0.888
0.000 0.667 0.112
0.143 0.143 0.618
0.143 0.500 0.382
0.333 0.000 0.888
0.334 0.334 0.112
0.500 0.143 0.382
0.500 0.857 0.618
0.666 0.666 0.888
0.667 0.000 0.112
0.857 0.500 0.618
0.857 0.857 0.382
```

Largest 10 diffraction maxima, most intense first, 2θ = 5–70°:
| d [Å] | Rel. int. |
| --- | --- |
| 3.191 | 100 |
| 7.060 | 94 |
| 2.848 | 85 |
| 2.042 | 55 |
| 2.217 | 47 |
| 2.511 | 37 |
| 3.465 | 30 |
| 1.966 | 26 |
| 1.596 | 20 |
| 2.067 | 20 |

***

No. 5
Computed powder diffractogram
____________

My first visitors!

Today was the first day of classes! It went pretty well.  The professors are good about talking slow, repeating their words, and making sure we understand.  I really like my professors. They are very relaxed, unlike in the states, and are pretty comical.  It's even funnier when they try to relate and compare lecture to things in the US. The classes are not as intense as ones at the U, but it will still be difficult because of the language barrier.  I have to actually pay attention and listen to what they are saying otherwise it goes in one ear and out the other.

The most exciting part of the day is Shannon and Molly arrived from Algeciras, Spain! I met Shannon at 3:45.  After getting lost trying to find the hostel they are staying at, (we circled it twice) we went out for a glass of wine to catch up.  After that, I showed her my room, and we hung out for a couple of hours.  For dinner we went to get pizza (I know, nothing too exciting).  And while waiting for Molly to arrive, we went for tea and dessert.  I had a churro type chocolate thing.

Even though the food in Spain is terrible, the desserts are to die for!

Tomorrow we are going to go down by the river and hang out, shop, and go to this tower where we can see the entire city.

I also realized today is the first day I didn't take a single picture.... !Hasta luego!

Wednesday, January 16, 2013

=====
# SmNi2Sn2
Simulated powder XRD pattern, CuKα. Input: a DFT-relaxed cell (PBE, the Materials Project).
No peak broadening, texture or thermal motion is included.

Atomic structure:
Unit cell a=4.4456 b=4.4456 c=10.0619 alpha=90.00 beta=90.00 gamma=90.00
Fractional coordinates of all 10 atoms:
Sm (0.2500, 0.2500, 0.2390)
Sm (0.7500, 0.7500, 0.7610)
Ni (0.2500, 0.2500, 0.6271)
Ni (0.2500, 0.7500, 0.0000)
Ni (0.7500, 0.2500, 0.0000)
Ni (0.7500, 0.7500, 0.3729)
Sn (0.2500, 0.2500, 0.8729)
Sn (0.2500, 0.7500, 0.5000)
Sn (0.7500, 0.2500, 0.5000)
Sn (0.7500, 0.7500, 0.1271)

Top 10 peaks for 2θ = 5–70°, by angle:
2θ 28.39, 3.144 Å, intensity 15; 2θ 33.47, 2.677 Å, intensity 65; 2θ 33.62, 2.666 Å, intensity 100; 2θ 40.59, 2.223 Å, intensity 71; 2θ 46.22, 1.964 Å, intensity 19; 2θ 49.73, 1.833 Å, intensity 23; 2θ 53.59, 1.710 Å, intensity 34; 2θ 58.74, 1.572 Å, intensity 24; 2θ 66.06, 1.414 Å, intensity 19; 2θ 69.39, 1.354 Å, intensity 32


# Rb3Zr6BeCl15
Simulated powder XRD pattern, CuKα. Input: a DFT-relaxed cell (PBE, the Materials Project).
No peak broadening, texture or thermal motion is included.

Atomic structure:
Unit cell a=10.2354 b=10.2354 c=14.3787 alpha=92.46 beta=92.46 gamma=69.60
Fractional coordinates of all 50 atoms:
Rb (0.0613, 0.9387, 0.7500)
Rb (0.1301, 0.6412, 0.4336)
Rb (0.3588, 0.8699, 0.0664)
Rb (0.6412, 0.1301, 0.9336)
Rb (0.8699, 0.3588, 0.5664)
Rb (0.9387, 0.0613, 0.2500)
Zr (0.0011, 0.7278, 0.0014)
Zr (0.1504, 0.4535, 0.1337)
Zr (0.1956, 0.4255, 0.9034)
Zr (0.2722, 0.9989, 0.4986)
Zr (0.4255, 0.1956, 0.4034)
Zr (0.4535, 0.1504, 0.6337)
Zr (0.5465, 0.8496, 0.3663)
Zr (0.5745, 0.8044, 0.5966)
Zr (0.7278, 0.0011, 0.5014)
Zr (0.8044, 0.5745, 0.0966)
Zr (0.8496, 0.5465, 0.8663)
Zr (0.9989, 0.2722, 0.9986)
Be (0.0000, 0.5000, 0.0000)
Be (0.5000, 0.0000, 0.5000)
Cl (0.0000, 0.0000, 0.0000)
Cl (0.0000, 0.0000, 0.5000)
Cl (0.0480, 0.4813, 0.7496)
Cl (0.1560, 0.7073, 0.1507)
Cl (0.1577, 0.1972, 0.1449)
Cl (0.1626, 0.2173, 0.3994)
Cl (0.1972, 0.1577, 0.6449)
Cl (0.2173, 0.1626, 0.8994)
Cl (0.2190, 0.6728, 0.8991)
Cl (0.2927, 0.8440, 0.3493)
Cl (0.3272, 0.7810, 0.6009)
Cl (0.3294, 0.4170, 0.2879)
Cl (0.3700, 0.3776, 0.5408)
Cl (0.3776, 0.3700, 0.0408)
Cl (0.4170, 0.3294, 0.7879)
Cl (0.4813, 0.0480, 0.2496)
Cl (0.5187, 0.9520, 0.7504)
Cl (0.5830, 0.6706, 0.2121)
Cl (0.6224, 0.6300, 0.9592)
Cl (0.6300, 0.6224, 0.4592)
Cl (0.6706, 0.5830, 0.7121)
Cl (0.6728, 0.2190, 0.3991)
Cl (0.7073, 0.1560, 0.6507)
Cl (0.7810, 0.3272, 0.1009)
Cl (0.7827, 0.8374, 0.1006)
Cl (0.8028, 0.8423, 0.3551)
Cl (0.8374, 0.7827, 0.6006)
Cl (0.8423, 0.8028, 0.8551)
Cl (0.8440, 0.2927, 0.8493)
Cl (0.9520, 0.5187, 0.2504)

Top 10 peaks for 2θ = 5–70°, by angle:
=====

Tour de Toledo

Today was a very fun day.  We had a tour of Toledo that was beautiful! We crossed the river and went up the mountain to get a view of the entire city.  It was one of the most beautiful things I've ever seen in my life--so far.  The pictures don't do it justice.  We had a tour guide which was fun and he gave us some fun facts about the city, and showed us important places that will be useful during our time here.

That lasted the entire morning.  We walked around and bought some other necessities.  The hot chocolate here is actually just chocolate melted... buzz kill.  But I did have my first expresso at lunch and it was decent with sugar and milk.

I had to buy a hair dryer and straightener today because they either didn't have enough air pressure, and my straightener burnt out because the voltage is so different.

Tonight is the big night out in Toledo.  Instead of going to the bars on the weekend, like in the states;  the Spaniards go out on Wednesdays and Thursday until about 5 or 6 am.... So we will see what happens. We are going to a club called La Nuit.  It should be a good time.

Tomorrow is the first day of classes.  I hope it will go well.

Tapas y Cervezas

Well yesterday was a very busy day!  First we started out waking up to take a grammar test....which I'm pretty sure I failed.  But in the end it will be okay because they just want to make sure you are taking classes that will be too hard for you to understand.

After that, we had a meeting with one of the professors to talk about the class schedule, and we made our class schedule.  I am taking 15 credits to finish my Spanish minor to make sure I graduate in four years.  I have about 2-3 classes a day, which is a lot compared to other students.  But I am not doing an internship, which most are.  The classes are only an hour and a half long--it will be a breeze compared to the 2-3 hour classes I had last semester at the U!

After the meetings were done, I got my cell phone.  It is about half the size of my iphone, and twice as light.  I miss when cell phones used to be that simple.  Than a group of about 20 of us, went down to the river to walk around and take pictures.  It was BEAUTIFUL! The grass is so green, and the mountains (or what I think as mountains), and the landscaping was gorgeous.  I took way to many photos and we explored the ruins that were around the river.

Once we had enough, we went for a beer and tapas.  My tapas (appetizers) was decent.  I thought I would try something instead of taking the peanuts.  It was a beef ball.  Kind of like a meatball, minus the flavor, and twice the salt.  I also tried an Amstel beer.  I am just not a beer fan, but it is the cheapest so I am forcing myself to like it.

After we had a presentation about living life in Spain from the bank, to the post office, to traveling, the bus routes, etc., we decided to go out for the first big night on the town.  We went to an outside bar that overlooks the "suburbs" of Toledo.  It was gorgeous, and not that cold for the first 3 hours.

ATTENTION: DO NOT SEND PACKAGES TO TOLEDO.  I know all of you want to send me stuff, but customs will confiscate it if they think it's been used for business related things.  If anything needs to be brought to me, please send it to my mom or dad in the states.  MOM AND DAD: DON'T SEND ME ANYTHING.  Bring it with you when you visit. :)

Down by the river.  On the side of Toledo.  (Toledo is surrounded by a river on 3/4 of the city.)

My beer and tapas.

Monday, January 14, 2013

Día Uno

I have arrived in Spain!  My flight from MSP to Atlanta was not the best in the world.  It ended up being delayed because another plane was blocking us in at the gate.... Once we got on the next flight, I was disappointed to find that we didn't have our individual televisions like I were counting on. But the flight went pretty quickly and we were fed some nasty plane food, which tasted great because we were starving.

Overall, today has been the longest day of my life.  It's weird to think it's Monday and that I never really got a full nights sleep. We arrived in Toledo, made it through customs, and got both of the bags (I had to check one of my carry ons in Atlanta), and followed the group to find the people with the "fundación" sign (the nickname of my program).  After an hour bus ride, a luggage transfer, and then a short bus ride and walk, we arrived to the fundación which is tucked away in the middle of Toledo.

The streets are so small and the architecture is amazing!  All the streets are cobblestone which is hard to walk on, even in flats.  My feet were exhausted when we walked around for only an hour.

I am in a triple.  It is a suite to another triple, which my friend Amanda happened to be assigned to the other side of the suite.  I live with a girl named Carla from Puerto Rico.  She is really nice, and is going to help me with my Spanish.  Even though I made a fool out of myself today... But I am going to blame that on being up for more than 24 hours.  So far we do not have a 3rd roommate and I'm hoping it stays that way.

After our tour of the fundación, we had some free time to go explore.  We walked the streets, looked into shops (many of which were medieval themed), and eventually met up with some other students at the bar.  I had my first ever legal drink, a Spanish beer.  It was okay.  I like to think of today as my 21st birthday!

The food here is really interesting, and not very good at all.  I am hoping breakfast will be better tomorrow.  Maybe it will just take some getting used to.

Tomorrow I have a written exam on my Spanish and grammar, and also an interview about my classes, I believe.  Hopefully tomorrow will be less overwhelming than today.

Buenas noches.

Saturday, January 12, 2013

Hello family and friends!

This is my blog that I will be updating weekly while I am living in Spain.  I will give updates on what new foods I try, what amazing places I see, the problems I have speaking Spanish with the locals, and everything in between! Feel free to share this blog with anyone who is interested.

Tomorrow is the big day.  I finished packing last night.  Despite my fear that I would never be able to pack an entire wardrobe for a whole semester in one suitcase, I managed to fit it all in! I was very proud of myself to say the least.  Many of you have asked me if I am excited about going to Toledo, and my answers have been very vague.  I have been planning this study abroad experience since freshman year of college, and it is very surreal that it is actually happening.

I know I will be excited once I set foot in the airport tomorrow morning.  It will be quite the experience and one that I will remember for the rest of my life.

More to follow once I am on Spanish soil. ¡Hasta luego!